Please print the lines further down from the one with "the range" to the one with "_atom_site_fract_x" word for word.

+++
Diffraction record for Na3MnF4. The PXRD pattern is theoretical, not measured: it uses a cell relaxed with PBE+U and CuKα.
Neutral-atom scattering factors, no anomalous dispersion.

Principal peaks in the range 10 to 90 degrees two-theta, by angle:
| hkl | two_theta | intensity |
| --- | --- | --- |
| 1 0 1 | 20.5 | 26 |
| 2 0 0 | 37.1 | 100 |
| 0 0 4 | 37.4 | 48 |
| 2 2 0 | 53.4 | 30 |
| 2 0 4 | 53.7 | 59 |
| 2 2 4 | 67.0 | 26 |

Structural model:
```
data_Na3MnF4
_chemical_formula_sum 'Na6 Mn2 F8'
_cell_length_a 4.8503
_cell_length_b 4.8503
_cell_length_c 9.6251
_cell_angle_alpha 90.00
_cell_angle_beta 90.00
_cell_angle_gamma 90.00
_symmetry_space_group_name_H-M 'I 4/m m m'
_symmetry_Int_Tables_number 139
_symmetry_space_group_name_Hall '-I 4 2'
loop_
_atom_site_label
_atom_site_fract_x
_atom_site_fract_y
_atom_site_fract_z
Na1 0.0000 0.0000 0.0000
+++

Principal peaks in the range 10 to 90 degrees two-theta, by angle:
| hkl | two_theta | intensity |
| --- | --- | --- |
| 1 0 1 | 20.5 | 26 |
| 2 0 0 | 37.1 | 100 |
| 0 0 4 | 37.4 | 48 |
| 2 2 0 | 53.4 | 30 |
| 2 0 4 | 53.7 | 59 |
| 2 2 4 | 67.0 | 26 |

Structural model:
```
data_Na3MnF4
_chemical_formula_sum 'Na6 Mn2 F8'
_cell_length_a 4.8503
_cell_length_b 4.8503
_cell_length_c 9.6251
_cell_angle_alpha 90.00
_cell_angle_beta 90.00
_cell_angle_gamma 90.00
_symmetry_space_group_name_H-M 'I 4/m m m'
_symmetry_Int_Tables_number 139
_symmetry_space_group_name_Hall '-I 4 2'
loop_
_atom_site_label
_atom_site_fract_x